_Contents_
/*
Entry from OMol25: a cluster of 2 separate species, C2H5NO in total at a distorted geometry (ωB97M-V/def2-TZVPD).

Each line ends with the Löwdin charge.
Positions of all 9 atoms, in Å:
H -1.30654 -2.23254 -0.42304  0.21
C 0.47479 0.94511 0.21325  -0.02
O -0.36048 -0.65963 1.65675  -0.03
H 0.39269 1.79426 0.93991  0.11
H 0.26866 1.42555 -0.77034  0.09
H 1.51985 0.88593 0.05617  0.07
H -0.42028 -0.75525 -1.57601  0.02
C -0.35013 -1.04207 -0.58860  0.01
N -0.21856 -0.36135 0.49191  -0.44

Atomic forces in eV per Å
3.40 3.57 -0.25
0.06 2.83 -0.76
-0.73 -0.79 2.11
-0.71 -1.45 -0.03
-0.98 -0.76 0.50
1.31 -1.17 0.55
0.48 1.33 -1.51
-4.91 -6.08 1.89
2.08 2.53 -2.50

Summary:
- Highest occupied orbital energy: -0.3374 Eh
- Maximum force: 8.05 eV/A

Entry from OMol25: a cluster of 4 separate species, C7H16O3 in total at a distorted geometry (ωB97M-V/def2-TZVPD).

Each line ends with the Löwdin charge.
Positions of all 26 atoms, in Å:
C -1.36152 2.32399 0.56582  -0.22
H -0.43983 3.47139 -1.01049  0.03
H -1.18100 1.90216 -1.50394  0.05
H 0.35734 -0.69417 -2.66132  -0.01
C 1.30791 -2.56711 1.14969  -0.13
H 1.99299 -0.20737 -1.20536  0.02
H 0.23691 -1.86571 2.87527  0.07
C 0.34477 -1.84546 1.78874  -0.31
C -1.13586 0.15553 1.68846  -0.22
H 1.71560 0.03031 0.97903  0.04
C -2.08883 1.07486 0.96776  -0.27
O 1.79841 0.72811 0.28853  -0.09
H -2.94449 1.33757 1.60891  0.09
H 1.48839 -2.53610 0.08193  0.01
H -1.13274 3.01364 1.37418  0.09
H -0.56034 -1.24262 -3.76299  0.02
H 0.90470 1.10092 0.26720  0.01
H 1.98506 -3.22612 1.69064  -0.01
C -0.58187 -0.95752 1.12609  -0.24
H -2.53204 0.59312 0.09001  0.10
O 2.06570 -0.73720 -2.05350  -0.10
H 2.75711 -0.28936 -2.56027  0.04
H -0.91405 0.43342 2.71862  0.08
O -0.55885 -0.61742 -3.02904  -0.11
H -0.80876 -1.26378 0.10768  0.10
C -0.99015 2.59304 -0.68805  -0.04

Atomic forces in eV per Å
-0.19 0.09 -0.41
0.07 0.09 0.41
-0.21 -0.16 0.14
-0.51 0.10 -0.17
1.12 -0.94 0.01
0.02 -0.38 -0.38
0.41 0.00 0.02
-1.39 1.30 -0.30
-0.85 0.95 0.28
-0.04 0.24 -0.55
-0.12 -0.24 0.26
0.22 -0.40 0.36
0.03 0.11 0.03
-0.23 0.19 -0.07
0.10 0.04 -0.04
-0.05 0.08 0.16
-0.14 0.02 0.09
-0.19 0.01 0.06
0.96 -1.72 0.38
0.23 -0.03 -0.08
0.24 0.53 0.35
-0.27 -0.12 0.17
0.12 -0.12 -0.05
0.50 -0.15 -0.06
0.02 0.47 -0.26
0.14 0.02 -0.35

Summary:
- Spin multiplicity: 2
- Highest occupied orbital energy (alpha / beta): 0.0039 / -0.1263 Eh
- Net charge: -1
- Maximum force: 2.00 eV/A
- Expectation value of S²: 0.77

Entry from OMol25: a structure of composition CHBr3 at a distorted geometry (ωB97M-V/def2-TZVPD).

Each line ends with the Löwdin charge.
Positions of all 5 atoms, in Å:
C -25.08266 8.66066 26.35252  -1.44
H -26.15269 8.50997 26.20955  -0.01
Br -25.04199 10.17454 27.65995  0.43
Br -23.96761 9.33437 24.85123  0.51
Br -24.07151 7.38881 27.47004  0.50

Atomic forces in eV per Å
2.01 1.82 1.70
0.53 -0.60 -0.53
-0.72 0.34 -0.45
-1.11 -0.94 0.47
-0.70 -0.63 -1.20

Summary:
- Highest occupied orbital energy: -0.3655 Eh
- Maximum force: 3.20 eV/A

Entry from OMol25: a structure of composition C19H39N3O6RhSSbSi3 at a distorted geometry (ωB97M-V/def2-TZVPD).

Each line ends with the Löwdin charge.
Positions of all 73 atoms, in Å:
H 2.07057 -6.06592 -0.73349  0.03
H 0.61361 -5.44062 -1.50807  0.01
H -1.98791 0.79955 0.00498  0.09
C -3.20341 3.48045 1.42444  -0.11
Rh 1.40582 0.40570 0.39063  0.23
C 1.51089 3.53733 3.18886  -0.04
H 0.27581 1.72492 -2.87995  0.01
S 3.37645 -0.43936 0.87837  0.24
O -0.26099 1.25578 4.16279  0.04
C 4.09178 1.64163 -1.69687  -0.25
H 2.87441 -1.46939 -2.36353  0.01
H 4.21033 2.42704 -0.94631  0.01
O 0.72064 3.23801 5.42591  0.13
H -3.52213 3.26723 -0.73092  0.16
O 0.20177 0.19572 2.25345  -0.16
C 2.83117 -3.87301 1.46909  -0.25
H 3.05707 -0.37494 -3.74228  0.03
C 1.44394 3.97488 4.60997  -0.51
H 2.74036 -3.07562 2.20770  0.01
Si 1.23852 -4.06600 0.48578  0.33
C -0.11901 -4.82642 1.56020  -0.24
H -3.58418 -3.41869 -2.29438  0.03
H 0.33466 -2.79387 -4.18537  0.02
H 3.66756 -3.62398 0.81485  0.02
*/
_Exercise_
Please search the lines further above for the word "atoms" and restate each line that has it.
_Solution_
Positions of all 9 atoms, in Å:
Positions of all 26 atoms, in Å:
Positions of all 5 atoms, in Å:
Positions of all 73 atoms, in Å: